Seniors Say COVID-19 Not Their Biggest Fear, Spending Time With Loved Ones Matters Most: Survey

Seniors Say COVID-19 Not Their Biggest Fear, Spending Time With Loved Ones Matters Most: Survey
Jean LeBoutillier, a resident at the Life Care Center of Kirkland, says goodbye to her daughter Laurie Callahan and son-in-law, Kevin Callahan after their visit at the Life Care Center of Kirkland in Kirkland, Wash. on Aug. 24, 2020. (Karen Ducey/Getty Images)
Isaac Teo
Residents of long-term care and assisted living (LTC/AL) do not fear contracting COVID-19 as more than they miss spending quality time with their loved ones before they die, a new survey (pdf) reveals.

“Residents have told us that contracting COVID-19 is not their biggest fear,” the report reads. “Their bodies and minds may be diminished in function but they can still, in many cases, understand risk, know they are nearing the end of their life and know, with absolute certainty, that spending time—meaningful time—with the people they love is what they want most.”

The survey report, released on Nov. 3, was conducted by the Office of the Seniors Advocate British Columbia (OSABC) at the end of August, with the goal of studying the impact of COVID-19 visitor restrictions on residents and their family members.

The data reveals that prior to the pandemic, 55 percent of visitors to the LTC/AL facilities visited more than once a week, but after the COVID-19 restrictions started, it dropped to about 10 percent. Likewise, 65 percent of visitors spent one hour or more with the residents before, but fell to only 9 percent after that.

Besides that, half of the respondents with family in palliative care say they were “not allowed to spend as much time as they wanted with their loved one before their loved one passed away.”

Attached: quantum chemistry results
********
No. 1
Below is a cluster of 6 separate species, C8H28O6 in total at a distorted geometry, with properties calculated with wB97M-V/def2-TZVPD.

- Gap between HOMO and LUMO: 10.545 eV
- SMILES string: CCO.CCO.CCO.CCO.O.O
- Strongest force on any atom: 2.43 eV Å⁻¹
- HOMO level: -10.13 eV
- Energy above the lowest of the compared OMol25 structures with the same formula, charge and spin: 1.714 eV

Geometry as XYZ:
```
42
Properties=species:S:1:pos:R:3:forces:R:3:lowdin_charge:R:1
C -5.723414 -3.239300 -5.392801 0.1 -0.9 -0.4 -0.0892
C -5.471284 -3.169070 -6.890031 -0.5 1.2 1.1 -0.3538
O -5.884364 -4.403810 -7.425931 0.8 -0.1 -0.6 -0.0712
H -5.259554 -4.156570 -5.030091 0.2 0.0 0.1 0.0702
H -6.793044 -3.442360 -5.340381 -0.1 0.5 0.6 0.0757
H -5.352354 -2.415970 -4.782441 -0.4 0.2 -0.3 0.0747
H -4.445444 -2.892890 -7.133911 0.2 -0.3 0.0 0.1089
H -6.118104 -2.393480 -7.300131 0.1 0.3 -0.1 0.1042
H -5.366804 -4.406770 -8.234461 -0.4 -0.8 -0.4 0.0805
C 6.861326 -0.988560 2.502969 -0.3 -1.3 -0.6 -0.0759
C 7.593136 -1.865380 1.450539 0.0 -0.1 1.2 -0.3433
O 8.474426 -1.156750 0.648779 0.7 0.9 -0.7 -0.0776
H 7.299826 -0.920080 3.498529 0.6 0.3 -0.4 0.0655
H 5.962176 -1.575920 2.689089 -0.6 0.5 0.0 0.0626
H 6.651346 -0.014340 2.061509 -0.2 0.0 0.3 0.0701
H 6.908346 -2.358740 0.760789 -0.5 -0.3 0.5 0.1068
H 8.192546 -2.615800 1.965979 -0.1 -0.2 0.0 0.1099
H 7.903326 -0.700010 0.026809 0.4 0.3 -0.3 0.0821
C -2.311404 6.704860 2.279739 0.1 0.2 -1.9 -0.0806
C -1.111614 6.379540 1.282569 -1.3 0.7 1.0 -0.3109
O -0.864034 5.019820 1.017889 0.0 0.0 0.5 -0.0734
H -3.231084 6.159720 2.067329 0.3 -0.7 0.1 0.0638
H -2.625124 7.679220 1.905169 0.2 0.5 0.7 0.0587
H -2.123844 6.721090 3.353359 0.3 -0.1 -0.2 0.0631
H -0.260734 6.919810 1.697549 0.5 -0.2 0.0 0.0971
H -1.325184 6.841300 0.318579 -0.1 0.0 0.0 0.1037
H -0.957064 4.582720 1.867529 0.1 -0.4 0.0 0.0784
C -1.091224 -1.317220 1.185619 -0.2 -1.2 -0.7 -0.0873
C -0.917244 -1.352440 2.701899 -0.2 -0.8 -1.4 -0.3552
O -1.365594 -0.141500 3.155179 -0.1 2.1 1.2 -0.0713
H -2.091424 -1.502830 0.794139 -0.5 0.3 0.6 0.0670
H -0.566754 -2.154500 0.725189 0.5 0.1 0.0 0.0646
H -0.778504 -0.389270 0.706859 0.3 0.0 0.4 0.0763
H 0.133946 -1.520170 2.936379 0.2 0.0 0.1 0.1093
H -1.521554 -2.104410 3.209299 0.1 -0.7 -0.4 0.1096
H -0.948234 -0.005670 4.008969 -0.2 0.4 0.2 0.0871
O 1.989676 1.724980 6.409499 -0.2 -0.1 0.0 -0.0558
H 2.772666 1.668100 6.957149 0.2 -0.1 0.2 0.0283
H 2.209406 2.376490 5.743549 0.0 0.2 -0.2 0.0277
O 0.696886 -2.866140 -4.254041 0.1 0.2 -0.1 -0.0543
H 1.091846 -3.632880 -3.838881 0.1 -0.2 0.1 0.0274
H -0.235884 -3.074800 -4.305341 -0.2 0.0 0.0 0.0268
```
Positions in Å, forces in eV/Å.


No. 2
Below is a structure of composition C35H35BrGeN2O5Sn, with properties calculated with wB97M-V/def2-TZVPD.

- Gap between HOMO and LUMO: 8.841 eV
- Strongest force on any atom: 0.52 eV Å⁻¹
- HOMO level: -8.28 eV
- Energy above the lowest of the compared OMol25 structures with the same formula, charge and spin: 0.325 eV
********
Here the page continues

Nearly a quarter of the respondents say they weren’t allowed to touch or kiss their loved ones good-bye during their last 24 to 72 hours of life.

“Many family members have been frustrated by visit restrictions that are now in their eighth month and there is emerging evidence these restrictions are having a negative impact on residents’ health,” the report reads.

Upon first visiting their loved ones after the visit restrictions were amended, 46 percent of respondents reported that their loved ones’ physical health had gotten worse, and 58 percent say their loved ones’ cognitive and emotional well-being had deteriorated.

The use of antidepressants and antipsychotics on the residents were also increased over the period of visitor restrictions, according to the report.

“My mom was very quiet during our first visit: she acted like her family had given up on her. All mom wanted was for me to hug her and for me to let her see me. I wasn’t allowed, I understood but she didn’t. I left crying…” one testimony in the report said.

Though the situation isn’t easy for the family members, 75 percent of them still support some form of visit restrictions, of which over 40 percent want at least one more visitor allowed to each resident, and visit frequency to increase. Over half said they want the duration of visit to be at least one hour.

In response, the report recommends that “every resident to have a designated essential care partner who can have frequent visits of longer duration” and “allow for social visitors.”

“The number of social visitors allowed should reflect the need for immediate family members (adult children, spouses) who are not the designated care partner to see their loved one,” the report said.

~~~
{"formula": "C3H5O3PS", "method": "ωB97M-V with the def2-TZVPD basis set", "symbols": ["O", "P", "O", "O", "C", "C", "C", "S", "H", "H", "H", "H", "H"], "coordinates": [[-1.106, -1.029, -2.863], [-0.279, -0.127, -2.065], [1.062, 0.233, -2.543], [-1.221, 1.385, -1.936], [-0.265, -0.737, -0.316], [0.457, -0.090, 0.642], [0.582, -0.242, 2.164], [-0.326, 1.084, 3.159], [-0.829, 1.807, -1.197], [-1.094, -1.481, -0.164], [1.128, 0.584, 0.183], [1.619, -0.171, 2.447], [0.272, -1.216, 2.490]], "mulliken_charge": [-0.78, 0.84, -0.74, -0.60, -0.49, -0.10, -0.76, -0.78, 0.32, 0.26, 0.37, 0.20, 0.26], "homo_energy_ev": -0.10, "charge": -2, "energy_ev": -29460.3490, "smiles": "O=[P@@]([O-])(O)/C=C/C[S-]", "lumo_ev": 6.1}

----------

1.
ORCA calculation (wB97M-V/def2-TZVPD) on an isolated ion of composition C7H11N2 and charge +1 at a distorted geometry.

Positions of all 20 atoms, in Å:
C: -1.798 1.439 0.848
C: -1.418 2.363 -0.216
C: -1.459 0.169 1.092
C: -0.607 2.217 -1.212
C: -0.472 -0.728 0.442
C: 1.017 -0.389 0.578
C: 0.334 -0.332 -0.737
N: 0.757 -1.277 -1.700
N: 1.939 -1.558 0.661
H: -2.532 1.868 1.518
H: -1.933 3.329 -0.125
H: -1.968 -0.302 1.925
H: -0.178 2.563 -2.115
H: -0.721 -1.782 0.570
H: 1.315 0.480 1.145
H: 1.352 -0.856 -2.408
H: -0.028 -1.739 -2.150
H: 1.751 -2.022 -0.274
H: 1.733 -2.185 1.446
H: 2.917 -1.257 0.712

Energy relative to the best compared isomer or geometry (same formula, charge and spin) = 608.8 kJ/mol
Maximum force = 2.494 eV Å⁻¹
Multiplicity = 1
E_tot = -10405.4087 eV
HOMO (alpha / beta) = -11.70 / -11.97 eV
Net charge = +1
Gap between HOMO and LUMO (alpha / beta) = 7.75 / 8.81 eV



2.
ORCA calculation (wB97M-V/def2-TZVPD) on a 6-piece molecular cluster, C15H45O18P3 overall at a distorted geometry.

Positions of all 81 atoms, in Å:
C: 5.557 1.086 -2.835
O: 5.105 1.499 -1.543
P: 4.878 0.391 -0.431
O: 5.784 -0.744 -0.380
O: 4.911 1.250 0.904
C: 4.180 2.474 0.972
O: 3.344 0.066 -0.686
C: 2.738 -0.993 0.057
H: 4.804 1.289 -3.598
H: 5.850 0.039 -2.855
H: 6.411 1.710 -3.110
H: 3.596 2.470 1.894
H: 3.464 2.599 0.158
H: 4.860 3.324 0.966
H: 3.417 -1.828 0.246
H: 1.951 -1.423 -0.563
H: 2.313 -0.676 1.010
C: -0.844 -2.804 -2.493
O: 0.407 -3.028 -1.872
P: 0.758 -4.458 -1.271
O: 2.094 -4.507 -0.698
O: -0.459 -4.738 -0.295
C: -0.551 -4.026 0.948
O: 0.501 -5.466 -2.463
C: 0.030 -6.790 -2.187
H: -1.649 -2.971 -1.774
H: -1.027 -3.424 -3.375
H: -0.900 -1.785 -2.871
H: -1.569 -3.641 1.049
H: 0.046 -3.112 0.956
H: -0.321 -4.702 1.763
H: 0.037 -7.024 -1.126
H: 0.668 -7.487 -2.728
H: -0.983 -6.916 -2.573
C: -2.616 -3.304 4.411
O: -1.530 -2.900 3.572
P: -0.828 -1.496 3.707
O: 0.058 -1.203 2.586
O: -0.160 -1.604 5.124
C: 0.686 -0.573 5.637
O: -1.995 -0.461 3.966
C: -2.970 -0.186 2.956
H: -2.374 -4.284 4.818
H: -3.497 -3.452 3.782
H: -2.828 -2.579 5.191
H: 0.325 -0.263 6.614
H: 0.747 0.293 4.974
H: 1.708 -0.941 5.732
H: -3.972 -0.364 3.341
H: -2.804 -0.727 2.026
H: -2.921 0.871 2.690
O: -1.683 3.257 1.428
C: -1.093 4.515 1.087
C: -0.557 4.413 -0.315
~~~

The survey collected over 13,000 valid responses from residents, residents’ family members and friends, and the general public.